It remains to echo the lines further down character by character.

____________
1.
DFT (PBE-GGA) results for a relaxed structure of Be3NbNi.

Cell and atoms, written as extended XYZ:
```
5
Lattice="3.8661 0.0000 0.0000 0.0000 3.8661 0.0000 0.0000 0.0000 3.8661" Properties=species:S:1:pos:R:3 pbc="T T T"
Be 0.0000 0.0000 1.9330
Be 0.0000 1.9330 0.0000
Be 1.9330 0.0000 0.0000
Nb 1.9330 1.9330 1.9330
Ni 0.0000 0.0000 0.0000
```

Properties
* excess energy over the best structure of this formula in the dataset: 285 meV per atom
* volume: 57.8 Å³ per cell
* total magnetic moment: 0.000 Bohr magnetons per cell

***

2.
DFT (PBE-GGA) results for a relaxed structure of Y8Br.

Cell and atoms, written as extended XYZ:
```
9
Lattice="-5.5094 5.5094 2.3507 5.5094 -5.5094 2.3507 5.5094 5.5094 -2.3507" Properties=species:S:1:pos:R:3 pbc="T T T"
Y 3.7576 0.0000 0.0000
Y 7.2613 0.0000 0.0000
Y 3.6503 3.6503 0.0000
Y 1.8592 -1.8592 2.3507
Y 0.0000 3.7576 0.0000
Y 0.0000 7.2613 0.0000
Y -1.8592 1.8592 2.3507
Y 1.8592 1.8592 2.3507
Br 0.0000 0.0000 0.0000
```

Properties
* volume: 285.4 Å³ per cell
* raw formation energy: -0.3 eV/f.u.
* total magnetic moment: 0.000 Bohr magnetons per cell

***

3.
DFT (PBE-GGA) results for a relaxed structure of Pr3Cu4Ni4.

Cell and atoms, written as extended XYZ:
```
11
Lattice="-3.6765 3.6765 3.6765 3.6765 -3.6765 3.6765 3.6765 3.6765 -3.6765" Properties=species:S:1:pos:R:3 pbc="T T T"
Pr 3.6765 0.0000 0.0000
Pr 0.0000 3.6765 0.0000
Pr 0.0000 0.0000 3.6765
Cu 1.4741 1.4741 -1.4741
Cu 1.4741 -1.4741 1.4741
Cu -1.4741 1.4741 1.4741
Cu 2.2024 2.2024 2.2024
Ni 2.8213 2.8213 -2.8213
Ni 2.8213 -2.8213 2.8213
Ni 0.8551 0.8551 0.8551
Ni -2.8213 2.8213 2.8213
```

Properties
* volume: 198.8 Å³ per cell
* total magnetic moment: 0.000 Bohr magnetons per cell
* electronic total energy: -5.050 eV/atom

***

4.
DFT (PBE-GGA) results for a relaxed structure of SrTcSb2.

Cell and atoms, written as extended XYZ:
```
16
Lattice="8.0384 0.0000 0.0000 0.0000 8.0384 0.0000 0.0000 0.0000 7.0103" Properties=species:S:1:pos:R:3 pbc="T T T"
Sr 0.0000 0.0000 0.0000
Sr 0.0000 4.0192 1.7526
Sr 4.0192 0.0000 5.2578
Sr 4.0192 4.0192 3.5052
Tc 0.0000 0.0000 3.5052
Tc 0.0000 4.0192 5.2578
Tc 4.0192 0.0000 1.7526
Tc 4.0192 4.0192 0.0000
Sb 1.4474 2.0096 4.3815
Sb 2.0096 5.4666 6.1341
Sb 2.0096 6.5910 2.6289
Sb 2.5718 2.0096 0.8763
Sb 5.4666 6.0288 0.8763
Sb 6.0288 1.4474 2.6289
Sb 6.0288 2.5718 6.1341
Sb 6.5910 6.0288 4.3815
```

Properties
* excess energy over the best structure of this formula in the dataset: 201 meV per atom
* volume: 453.0 Å³ per cell
* raw formation energy: -0.2 eV/f.u.
* total magnetic moment: 0.000 Bohr magnetons per cell

***

5.
DFT (PBE-GGA) results for a relaxed structure of Mg2BeNi.

Cell and atoms, written as extended XYZ:
```
8
Lattice="9.8242 0.0000 0.0000 0.0000 3.0152 0.0000 -1.9047 0.0000 3.9189" Properties=species:S:1:pos:R:3 pbc="T T T"
Mg 0.0000 0.0000 0.0000
Mg 0.7298 0.0000 2.7830
Mg 4.9121 1.5076 0.0000
Mg 5.6419 1.5076 2.7830
Be 3.4602 0.0000 1.7094
Be 8.3723 1.5076 1.7094
Ni 2.0899 1.5076 1.0265
Ni 7.0020 0.0000 1.0265
```

Properties
* volume: 116.1 Å³ per cell
* total magnetic moment: 0.000 Bohr magnetons per cell
* electronic total energy: -3.211 eV/atom

***

6.
DFT (PBE-GGA) results for a relaxed structure of Y2ScNiSb.

Cell and atoms, written as extended XYZ:
```
5
Lattice="5.5382 0.0000 0.0000 0.0000 5.5382 0.0000 0.0000 0.0000 4.3896" Properties=species:S:1:pos:R:3 pbc="T T T"
Y 0.0000 2.7691 0.0000
Y 2.7691 0.0000 0.0000
Sc 0.0000 0.0000 0.0000
Ni 0.0000 0.0000 2.1948
Sb 2.7691 2.7691 2.1948
```

Properties
* volume: 134.6 Å³ per cell
* raw formation energy: 2.2 eV/f.u.
* total magnetic moment: 0.279 Bohr magnetons per cell

***

7.
DFT (PBE-GGA) results for a relaxed structure of LiMg4Pt.

Cell and atoms, written as extended XYZ:
```
12
Lattice="6.2861 0.0000 0.0000 0.0000 6.2857 0.0000 -0.0026 0.0000 7.1127" Properties=species:S:1:pos:R:3 pbc="T T T"
Li 0.0000 0.0000 0.0000
Li 3.1431 3.1428 0.0000
Mg 1.5743 1.5705 2.0177
Mg 1.5746 1.5702 5.0880
____________

1.
DFT (PBE-GGA) results for a relaxed structure of Be3NbNi.

Cell and atoms, written as extended XYZ:
```
5
Lattice="3.8661 0.0000 0.0000 0.0000 3.8661 0.0000 0.0000 0.0000 3.8661" Properties=species:S:1:pos:R:3 pbc="T T T"
Be 0.0000 0.0000 1.9330
Be 0.0000 1.9330 0.0000
Be 1.9330 0.0000 0.0000
Nb 1.9330 1.9330 1.9330
Ni 0.0000 0.0000 0.0000
```

Properties
* excess energy over the best structure of this formula in the dataset: 285 meV per atom
* volume: 57.8 Å³ per cell
* total magnetic moment: 0.000 Bohr magnetons per cell

***

2.
DFT (PBE-GGA) results for a relaxed structure of Y8Br.

Cell and atoms, written as extended XYZ:
```
9
Lattice="-5.5094 5.5094 2.3507 5.5094 -5.5094 2.3507 5.5094 5.5094 -2.3507" Properties=species:S:1:pos:R:3 pbc="T T T"
Y 3.7576 0.0000 0.0000
Y 7.2613 0.0000 0.0000
Y 3.6503 3.6503 0.0000
Y 1.8592 -1.8592 2.3507
Y 0.0000 3.7576 0.0000
Y 0.0000 7.2613 0.0000
Y -1.8592 1.8592 2.3507
Y 1.8592 1.8592 2.3507
Br 0.0000 0.0000 0.0000
```

Properties
* volume: 285.4 Å³ per cell
* raw formation energy: -0.3 eV/f.u.
* total magnetic moment: 0.000 Bohr magnetons per cell

***

3.
DFT (PBE-GGA) results for a relaxed structure of Pr3Cu4Ni4.

Cell and atoms, written as extended XYZ:
```
11
Lattice="-3.6765 3.6765 3.6765 3.6765 -3.6765 3.6765 3.6765 3.6765 -3.6765" Properties=species:S:1:pos:R:3 pbc="T T T"
Pr 3.6765 0.0000 0.0000
Pr 0.0000 3.6765 0.0000
Pr 0.0000 0.0000 3.6765
Cu 1.4741 1.4741 -1.4741
Cu 1.4741 -1.4741 1.4741
Cu -1.4741 1.4741 1.4741
Cu 2.2024 2.2024 2.2024
Ni 2.8213 2.8213 -2.8213
Ni 2.8213 -2.8213 2.8213
Ni 0.8551 0.8551 0.8551
Ni -2.8213 2.8213 2.8213
```

Properties
* volume: 198.8 Å³ per cell
* total magnetic moment: 0.000 Bohr magnetons per cell
* electronic total energy: -5.050 eV/atom

***

4.
DFT (PBE-GGA) results for a relaxed structure of SrTcSb2.

Cell and atoms, written as extended XYZ:
```
16
Lattice="8.0384 0.0000 0.0000 0.0000 8.0384 0.0000 0.0000 0.0000 7.0103" Properties=species:S:1:pos:R:3 pbc="T T T"
Sr 0.0000 0.0000 0.0000
Sr 0.0000 4.0192 1.7526
Sr 4.0192 0.0000 5.2578
Sr 4.0192 4.0192 3.5052
Tc 0.0000 0.0000 3.5052
Tc 0.0000 4.0192 5.2578
Tc 4.0192 0.0000 1.7526
Tc 4.0192 4.0192 0.0000
Sb 1.4474 2.0096 4.3815
Sb 2.0096 5.4666 6.1341
Sb 2.0096 6.5910 2.6289
Sb 2.5718 2.0096 0.8763
Sb 5.4666 6.0288 0.8763
Sb 6.0288 1.4474 2.6289
Sb 6.0288 2.5718 6.1341
Sb 6.5910 6.0288 4.3815
```

Properties
* excess energy over the best structure of this formula in the dataset: 201 meV per atom
* volume: 453.0 Å³ per cell
* raw formation energy: -0.2 eV/f.u.
* total magnetic moment: 0.000 Bohr magnetons per cell

***

5.
DFT (PBE-GGA) results for a relaxed structure of Mg2BeNi.

Cell and atoms, written as extended XYZ:
```
8
Lattice="9.8242 0.0000 0.0000 0.0000 3.0152 0.0000 -1.9047 0.0000 3.9189" Properties=species:S:1:pos:R:3 pbc="T T T"
Mg 0.0000 0.0000 0.0000
Mg 0.7298 0.0000 2.7830
Mg 4.9121 1.5076 0.0000
Mg 5.6419 1.5076 2.7830
Be 3.4602 0.0000 1.7094
Be 8.3723 1.5076 1.7094
Ni 2.0899 1.5076 1.0265
Ni 7.0020 0.0000 1.0265
```

Properties
* volume: 116.1 Å³ per cell
* total magnetic moment: 0.000 Bohr magnetons per cell
* electronic total energy: -3.211 eV/atom

***

6.
DFT (PBE-GGA) results for a relaxed structure of Y2ScNiSb.

Cell and atoms, written as extended XYZ:
```
5
Lattice="5.5382 0.0000 0.0000 0.0000 5.5382 0.0000 0.0000 0.0000 4.3896" Properties=species:S:1:pos:R:3 pbc="T T T"
Y 0.0000 2.7691 0.0000
Y 2.7691 0.0000 0.0000
Sc 0.0000 0.0000 0.0000
Ni 0.0000 0.0000 2.1948
Sb 2.7691 2.7691 2.1948
```

Properties
* volume: 134.6 Å³ per cell
* raw formation energy: 2.2 eV/f.u.
* total magnetic moment: 0.279 Bohr magnetons per cell

***

7.
DFT (PBE-GGA) results for a relaxed structure of LiMg4Pt.

Cell and atoms, written as extended XYZ:
```
12
Lattice="6.2861 0.0000 0.0000 0.0000 6.2857 0.0000 -0.0026 0.0000 7.1127" Properties=species:S:1:pos:R:3 pbc="T T T"
Li 0.0000 0.0000 0.0000
Li 3.1431 3.1428 0.0000
Mg 1.5743 1.5705 2.0177
Mg 1.5746 1.5702 5.0880